What is needed: filter the entries further down: keep the lines with the word "C5H7N".

-- begin --
(1)
C5H7N in the gas phase in a non-equilibrium geometry. Source: the OMol25 dataset; level of theory: ωB97M-V with the def2-TZVPD basis set.

```
13
C5H7N (ωB97M-V with the def2-TZVPD basis set)
C -0.36 1.50 0.10
C -0.08 0.19 0.17
C 2.37 -0.27 0.09
C 1.17 -0.62 0.47
C -1.17 -0.77 -0.21
N 3.47 0.20 -0.20
H -1.33 1.72 -0.09
H 0.29 2.25 0.16
H 0.99 -1.43 1.18
H -1.99 -0.60 0.37
H -0.85 -1.76 -0.35
H -1.59 -0.56 -1.20
H 3.96 -0.12 -1.09
```

Computed properties:
2S+1 ... 3
Kohn-Sham gap (spin up / spin down) ... 5.3901 / 6.7990 eV
DFT total energy ... -249.224631 hartree
Net charge ... 0
Relative energy (zero: lowest compared OMol25 entry of this formula, charge and spin) ... 42.6 kcal per mole

=====

(2)
A molecular structure, C5H7N2 in a non-equilibrium geometry. Source: the OMol25 dataset; level of theory: ωB97M-V with the def2-TZVPD basis set.

```
14
C5H7N2 (ωB97M-V with the def2-TZVPD basis set)
C 0.56 0.29 -2.05
C -0.38 0.55 -0.20
C 0.62 -0.85 -0.44
C 0.66 -1.96 0.53
C -0.74 1.82 0.74
N -0.19 1.11 -1.63
N 1.07 -0.82 -1.66
H -1.29 -0.01 -0.36
H -0.05 -1.76 1.25
H 1.57 -1.83 1.17
H 0.54 -2.91 -0.02
H 0.23 2.41 0.84
H -1.23 1.57 1.73
H -1.39 2.39 0.12
```

Computed properties:
Kohn-Sham gap ... 9.4271 eV
DFT total energy ... -303.779098 hartree
Net charge ... +1
Relative energy (zero: lowest compared OMol25 entry of this formula, charge and spin) ... 150.5 kcal per mole

=====

(3)
A molecular structure, C5H7N2 in a non-equilibrium geometry. Source: the OMol25 dataset; level of theory: ωB97M-V with the def2-TZVPD basis set.

```
14
C5H7N2 (ωB97M-V with the def2-TZVPD basis set)
C -2.00 0.55 0.03
C -1.01 -1.15 0.07
C -0.04 0.08 0.09
C 0.73 0.18 -1.25
C 0.80 0.34 1.30
N -2.25 -0.72 0.01
N -1.04 1.29 0.09
H -0.66 -2.09 -0.14
H 1.35 1.05 -1.17
H 0.18 0.41 -2.25
H 1.05 -0.84 -1.35
H 1.16 1.28 1.50
H 1.65 -0.30 1.03
H 0.09 -0.09 2.04
```

Computed properties:
Kohn-Sham gap ... 9.9910 eV
DFT total energy ... -303.780360 hartree
Net charge ... +1
Relative energy (zero: lowest compared OMol25 entry of this formula, charge and spin) ... 149.7 kcal per mole

=====

Question: Which of these has the lowest DFT total energy?
Answer: number 3

=====

Question: What is the relative energy (zero: lowest compared OMol25 entry of this formula, charge and spin) in the second record?
Answer: 150.5 kcal per mole

=====

# 1
DFT (ωB97M-V/def2-TZVPD) results for a molecular structure, C25H28EuF5O2 in a non-equilibrium geometry.

Values from the calculation:
Energy relative to the best compared isomer or geometry (same formula, charge and spin) ... 0.0 kcal per mole
Spin multiplicity ... 8
Molar mass ... 607.45 g/mol
HOMO (alpha / beta) ... -3.2 / -3.9 eV
Net charge ... -1
Orbital gap (alpha / beta) ... 5.18 / 5.88 eV

Geometry as XYZ:
```
61
Properties=species:S:1:pos:R:3:forces:R:3:mulliken_spin:R:1
O 3.750750 4.778171 -3.222852 0.27 1.48 -1.82 0.000
C 3.290519 5.432332 -4.488745 -0.51 -0.24 0.06 0.000
C 4.637177 6.073977 -4.791752 -0.66 -0.45 0.41 0.000
H 2.486747 6.158391 -4.276165 0.18 -0.44 -0.10 0.000
H 2.974001 4.711057 -5.263496 0.03 0.27 0.61 0.000
C 5.039046 5.419363 -3.453850 0.89 0.38 -0.10 0.000
H 4.577756 7.166730 -4.812448 0.40 -0.27 -0.07 0.000
H 5.099869 5.627239 -5.678699 0.12 0.41 0.24 0.000
C 5.389039 6.426639 -2.379921 0.08 -0.07 0.24 0.000
H 4.594722 7.162119 -2.199243 0.10 -0.23 -0.16 0.000
H 6.299726 6.955299 -2.683001 -0.11 -0.01 0.10 0.000
H 5.593661 5.897568 -1.446410 -0.04 0.12 0.06 0.000
C 6.122939 4.381169 -3.613268 0.12 -0.10 0.18 0.000
H 5.836714 3.601720 -4.326095 -0.02 0.17 0.04 0.000
H 6.304097 3.912520 -2.645856 0.13 -0.13 -0.01 0.000
H 7.041461 4.865516 -3.960113 -0.03 -0.13 0.07 0.000
Eu 0.074818 0.797425 -0.166299 -0.20 -1.90 0.27 6.948
C 0.228636 -2.116564 -0.403791 -0.10 -0.02 -0.76 -0.007
C -0.845473 -1.902817 -1.319568 0.76 0.15 0.02 -0.003
C -0.319253 -1.252302 -2.471527 0.29 -0.31 0.28 0.002
H -1.871207 -2.253103 -1.188728 0.35 0.42 0.06 0.004
C 1.099476 -1.149948 -2.312252 -0.28 0.11 0.52 -0.007
-- stop --

C5H7N in the gas phase in a non-equilibrium geometry. Source: the OMol25 dataset; level of theory: ωB97M-V with the def2-TZVPD basis set.
C5H7N (ωB97M-V with the def2-TZVPD basis set)